## Entries
-- begin --
1.
# Na3SrTiNb3O12

Crystalline Na3SrTiNb3O12 at its relaxed geometry (PBE, the Materials Project database).

Lattice parameters (Å, degrees): 8.014 7.926 11.195 45.09 90.00 90.00
Positions (direct):
Na 0.236 0.000 0.750
Na 0.232 0.500 0.250
Na 0.768 0.500 0.250
Na 0.232 0.500 0.750
Na 0.768 0.500 0.750
Na 0.764 0.000 0.250
Sr 0.761 0.000 0.750
Sr 0.239 0.000 0.250
Ti 0.000 0.000 0.500
Ti 0.000 0.000 0.000
Nb 0.000 0.500 0.000
Nb 0.500 0.500 0.000
Nb 0.500 0.000 0.500
Nb 0.500 0.000 0.000
Nb 0.000 0.500 0.500
Nb 0.500 0.500 0.500
O 0.002 0.727 0.025
O 0.002 0.273 0.475
O 0.492 0.797 0.953
O 0.005 0.781 0.748
O 0.499 0.293 0.249
O 0.749 0.518 0.992
O 0.750 0.003 0.507
O 0.251 0.482 0.008
O 0.250 0.997 0.493
O 0.501 0.707 0.751
O 0.995 0.219 0.252
O 0.998 0.273 0.975
O 0.508 0.203 0.047
O 0.998 0.727 0.525
O 0.508 0.797 0.453
O 0.995 0.781 0.248
O 0.501 0.293 0.749
O 0.250 0.003 0.007
O 0.251 0.518 0.492
O 0.750 0.997 0.993
O 0.749 0.482 0.508
O 0.499 0.707 0.251
O 0.005 0.219 0.752
O 0.492 0.203 0.547

Output
Energy in eV per atom: -7.742
ΔE to the lowest computed polymorph in eV/atom: 0.000

2.
# B5Pb2BrO9

Crystalline B5Pb2BrO9 at its relaxed geometry (PBE, the Materials Project database).

Lattice parameters (Å, degrees): 6.617 11.600 11.680 90.00 90.00 90.00
Positions (direct):
B 0.518 0.006 0.749
B 0.518 0.994 0.251
B 0.018 0.494 0.249
B 0.018 0.506 0.751
B 0.183 0.267 0.958
B 0.183 0.733 0.042
B 0.683 0.233 0.458
B 0.683 0.767 0.542
B 0.962 0.284 0.787
B 0.962 0.716 0.213
B 0.462 0.216 0.287
B 0.462 0.784 0.713
B 0.646 0.202 0.681
B 0.646 0.798 0.319
B 0.146 0.298 0.181
B 0.146 0.702 0.819
B 0.295 0.179 0.771
B 0.295 0.821 0.229
B 0.795 0.321 0.271
B 0.795 0.679 0.729
Pb 0.164 0.263 0.527
Pb 0.164 0.737 0.473
Pb 0.664 0.237 0.027
Pb 0.664 0.763 0.973
Pb 0.498 0.458 0.756
Pb 0.498 0.542 0.244
Pb 0.998 0.042 0.256
Pb 0.998 0.958 0.744
Br 0.145 0.000 0.500
Br 0.645 0.500 0.000
Br 0.396 0.500 0.500
Br 0.896 0.000 0.000
O 0.057 0.390 0.736
O 0.057 0.610 0.264
O 0.557 0.110 0.236
O 0.557 0.890 0.764
O 0.991 0.287 0.916
O 0.991 0.713 0.084
O 0.491 0.213 0.416
O 0.491 0.787 0.584
O 0.426 0.230 0.681
O 0.426 0.770 0.319
O 0.926 0.270 0.181
O 0.926 0.730 0.819
O 0.336 0.236 0.882
O 0.336 0.764 0.118
O 0.836 0.264 0.382
O 0.836 0.736 0.618
O 0.335 0.053 0.781
O 0.335 0.947 0.219
O 0.835 0.447 0.281
O 0.835 0.553 0.719
O 0.740 0.224 0.569
O 0.740 0.776 0.431
O 0.240 0.276 0.069
O 0.240 0.724 0.931
O 0.746 0.274 0.768
O 0.746 0.726 0.232
O 0.246 0.226 0.268
O 0.246 0.774 0.732
O 0.671 0.075 0.709
O 0.671 0.925 0.291
O 0.171 0.425 0.209
O 0.171 0.575 0.791
O 0.081 0.187 0.738
O 0.081 0.813 0.262
O 0.581 0.313 0.238
O 0.581 0.687 0.762

Output
Energy in eV per atom: -7.258

3.
# TcSbH2O2F10

Crystalline TcSbH2O2F10 at its relaxed geometry (PBE, the Materials Project database).

Lattice parameters (Å, degrees): 8.828 9.943 11.818 90.00 107.07 90.00
Positions (direct):
Tc 0.144 0.591 0.857
Tc 0.856 0.091 0.643
Tc 0.856 0.409 0.143
Tc 0.144 0.909 0.357
Sb 0.646 0.565 0.721
Sb 0.354 0.065 0.779
Sb 0.354 0.435 0.279
Sb 0.646 0.935 0.221
H 0.139 0.425 0.641
H 0.861 0.925 0.859
H 0.861 0.575 0.359
H 0.139 0.075 0.141
H 0.224 0.372 0.496
H 0.776 0.872 0.004
H 0.776 0.628 0.504
H 0.224 0.128 0.996
O 0.342 0.578 0.892
O 0.658 0.078 0.608
O 0.658 0.422 0.108
O 0.342 0.922 0.392
O 0.117 0.710 0.951
O 0.883 0.210 0.549
O 0.883 0.290 0.049
O 0.117 0.790 0.451
F 0.103 0.689 0.719
F 0.897 0.189 0.781
F 0.897 0.311 0.281
F 0.103 0.811 0.219
F 0.100 0.436 0.928
F 0.900 0.936 0.572
F 0.900 0.564 0.072
F 0.100 0.064 0.428
F 0.118 0.425 0.720
F 0.882 0.925 0.780
F 0.882 0.575 0.280
F 0.118 0.075 0.220
F 0.137 0.408 0.521
F 0.863 0.908 0.979
F 0.863 0.592 0.479
F 0.137 0.092 0.021
F 0.653 0.449 0.851
F 0.347 0.949 0.649
F 0.347 0.551 0.149
F 0.653 0.051 0.351
F 0.647 0.719 0.817
F 0.353 0.219 0.683
F 0.353 0.281 0.183
F 0.647 0.781 0.317
F 0.421 0.565 0.662
F 0.579 0.065 0.838
F 0.579 0.435 0.338
F 0.421 0.935 0.162
F 0.672 0.677 0.594
F 0.328 0.177 0.906
-- stop --

## To do
Could you return the lines further above up to the one that holds "0.653 0.449", that line included?

## Reply
1.
# Na3SrTiNb3O12

Crystalline Na3SrTiNb3O12 at its relaxed geometry (PBE, the Materials Project database).

Lattice parameters (Å, degrees): 8.014 7.926 11.195 45.09 90.00 90.00
Positions (direct):
Na 0.236 0.000 0.750
Na 0.232 0.500 0.250
Na 0.768 0.500 0.250
Na 0.232 0.500 0.750
Na 0.768 0.500 0.750
Na 0.764 0.000 0.250
Sr 0.761 0.000 0.750
Sr 0.239 0.000 0.250
Ti 0.000 0.000 0.500
Ti 0.000 0.000 0.000
Nb 0.000 0.500 0.000
Nb 0.500 0.500 0.000
Nb 0.500 0.000 0.500
Nb 0.500 0.000 0.000
Nb 0.000 0.500 0.500
Nb 0.500 0.500 0.500
O 0.002 0.727 0.025
O 0.002 0.273 0.475
O 0.492 0.797 0.953
O 0.005 0.781 0.748
O 0.499 0.293 0.249
O 0.749 0.518 0.992
O 0.750 0.003 0.507
O 0.251 0.482 0.008
O 0.250 0.997 0.493
O 0.501 0.707 0.751
O 0.995 0.219 0.252
O 0.998 0.273 0.975
O 0.508 0.203 0.047
O 0.998 0.727 0.525
O 0.508 0.797 0.453
O 0.995 0.781 0.248
O 0.501 0.293 0.749
O 0.250 0.003 0.007
O 0.251 0.518 0.492
O 0.750 0.997 0.993
O 0.749 0.482 0.508
O 0.499 0.707 0.251
O 0.005 0.219 0.752
O 0.492 0.203 0.547

Output
Energy in eV per atom: -7.742
ΔE to the lowest computed polymorph in eV/atom: 0.000

2.
# B5Pb2BrO9

Crystalline B5Pb2BrO9 at its relaxed geometry (PBE, the Materials Project database).

Lattice parameters (Å, degrees): 6.617 11.600 11.680 90.00 90.00 90.00
Positions (direct):
B 0.518 0.006 0.749
B 0.518 0.994 0.251
B 0.018 0.494 0.249
B 0.018 0.506 0.751
B 0.183 0.267 0.958
B 0.183 0.733 0.042
B 0.683 0.233 0.458
B 0.683 0.767 0.542
B 0.962 0.284 0.787
B 0.962 0.716 0.213
B 0.462 0.216 0.287
B 0.462 0.784 0.713
B 0.646 0.202 0.681
B 0.646 0.798 0.319
B 0.146 0.298 0.181
B 0.146 0.702 0.819
B 0.295 0.179 0.771
B 0.295 0.821 0.229
B 0.795 0.321 0.271
B 0.795 0.679 0.729
Pb 0.164 0.263 0.527
Pb 0.164 0.737 0.473
Pb 0.664 0.237 0.027
Pb 0.664 0.763 0.973
Pb 0.498 0.458 0.756
Pb 0.498 0.542 0.244
Pb 0.998 0.042 0.256
Pb 0.998 0.958 0.744
Br 0.145 0.000 0.500
Br 0.645 0.500 0.000
Br 0.396 0.500 0.500
Br 0.896 0.000 0.000
O 0.057 0.390 0.736
O 0.057 0.610 0.264
O 0.557 0.110 0.236
O 0.557 0.890 0.764
O 0.991 0.287 0.916
O 0.991 0.713 0.084
O 0.491 0.213 0.416
O 0.491 0.787 0.584
O 0.426 0.230 0.681
O 0.426 0.770 0.319
O 0.926 0.270 0.181
O 0.926 0.730 0.819
O 0.336 0.236 0.882
O 0.336 0.764 0.118
O 0.836 0.264 0.382
O 0.836 0.736 0.618
O 0.335 0.053 0.781
O 0.335 0.947 0.219
O 0.835 0.447 0.281
O 0.835 0.553 0.719
O 0.740 0.224 0.569
O 0.740 0.776 0.431
O 0.240 0.276 0.069
O 0.240 0.724 0.931
O 0.746 0.274 0.768
O 0.746 0.726 0.232
O 0.246 0.226 0.268
O 0.246 0.774 0.732
O 0.671 0.075 0.709
O 0.671 0.925 0.291
O 0.171 0.425 0.209
O 0.171 0.575 0.791
O 0.081 0.187 0.738
O 0.081 0.813 0.262
O 0.581 0.313 0.238
O 0.581 0.687 0.762

Output
Energy in eV per atom: -7.258

3.
# TcSbH2O2F10

Crystalline TcSbH2O2F10 at its relaxed geometry (PBE, the Materials Project database).

Lattice parameters (Å, degrees): 8.828 9.943 11.818 90.00 107.07 90.00
Positions (direct):
Tc 0.144 0.591 0.857
Tc 0.856 0.091 0.643
Tc 0.856 0.409 0.143
Tc 0.144 0.909 0.357
Sb 0.646 0.565 0.721
Sb 0.354 0.065 0.779
Sb 0.354 0.435 0.279
Sb 0.646 0.935 0.221
H 0.139 0.425 0.641
H 0.861 0.925 0.859
H 0.861 0.575 0.359
H 0.139 0.075 0.141
H 0.224 0.372 0.496
H 0.776 0.872 0.004
H 0.776 0.628 0.504
H 0.224 0.128 0.996
O 0.342 0.578 0.892
O 0.658 0.078 0.608
O 0.658 0.422 0.108
O 0.342 0.922 0.392
O 0.117 0.710 0.951
O 0.883 0.210 0.549
O 0.883 0.290 0.049
O 0.117 0.790 0.451
F 0.103 0.689 0.719
F 0.897 0.189 0.781
F 0.897 0.311 0.281
F 0.103 0.811 0.219
F 0.100 0.436 0.928
F 0.900 0.936 0.572
F 0.900 0.564 0.072
F 0.100 0.064 0.428
F 0.118 0.425 0.720
F 0.882 0.925 0.780
F 0.882 0.575 0.280
F 0.118 0.075 0.220
F 0.137 0.408 0.521
F 0.863 0.908 0.979
F 0.863 0.592 0.479
F 0.137 0.092 0.021
F 0.653 0.449 0.851